
A homeschool guilt bites the dust

I don't know about you, but homeschooling has brought with it an assortment of guilts, big and little, subtle and not-so-subtle.  You know...I'm not doing enough--academics, foreign language, sports, hospitality, housecleaning, correspondence, keeping up with friendships, yardwork--whatever.

Well, the Lord showed me how to be free of one of them today!  A guilt I carry nearly daily is that of not having enough time in His Word.  No matter how I try, my quiet time seems so often sabotaged by the urgent and it's so hard to get it back before bedtime.  Sound familiar?  Probably one of the more effective tactics of the enemy since it's so critical to our life on every level.

What comes next are records of crystals, not part of the entry:
/*
Record 1
VASP calculation (PBE-GGA) on TiNbVRu after structural relaxation.

excess energy over the best structure of this formula in the dataset	0.024	eV/atom
DFT formation energy	-0.269	eV/atom
Fermi-level density of states	5.15	states/eV per cell
space-group type	F-43m, No. 216

abc: 4.4294 4.4294 4.4294
angles: 60.00 60.00 60.00
Fractional coordinates of all 4 atoms:
Ti 0.2500 0.2500 0.2500
Ru 0.5000 0.5000 0.5000
V 0.0000 0.0000 0.0000
Nb 0.7500 0.7500 0.7500

Record 2
VASP calculation (PBE-GGA) on TiNb2VRu after structural relaxation.

DFT formation energy	0.978	eV/atom
Fermi-level density of states	7.73	states/eV per cell
space-group type	P4/mmm, No. 123

abc: 4.8615 4.3822 4.8615
angles: 90.00 90.00 90.00
Last column: magnetic moment on the atom in μB.
Fractional coordinates of all 5 atoms:
V 0.0000 0.5000 0.0000  -0.07
Nb 0.0000 0.0000 0.5000  0.05
Nb 0.5000 0.0000 0.0000  0.00
Ti 0.5000 0.5000 0.5000  0.43
Ru 0.0000 0.0000 0.0000  0.02

Record 3
VASP calculation (PBE-GGA) on TiNbVRu after structural relaxation.

excess energy over the best structure of this formula in the dataset	0.000	eV/atom
DFT formation energy	-0.293	eV/atom
Fermi-level density of states	4.36	states/eV per cell
space-group type	P4mm, No. 99

abc: 3.1142 3.1142 6.3538
angles: 90.00 90.00 90.00
Fractional coordinates of all 4 atoms:
V 0.0000 0.0000 0.3609
Nb 0.5000 0.5000 0.1077
Ti 0.5000 0.5000 0.6075
Ru 0.0000 0.0000 0.8519

Record 4
VASP calculation (PBE-GGA) on TiNbRuW after structural relaxation.

DFT formation energy	-0.266	eV/atom
Fermi-level density of states	2.57	states/eV per cell
space-group type	F-43m, No. 216

abc: 4.4820 4.4820 4.4820
angles: 60.00 60.00 60.00
Fractional coordinates of all 4 atoms:
Nb 0.7500 0.7500 0.7500
Ru 0.0000 0.0000 0.0000
Ti 0.2500 0.2500 0.2500
W 0.5000 0.5000 0.5000

E, respectively: -9.359 -8.307 -9.383 -10.314 eV per atom.

~~~~~

No. 1
Below is a geometry-optimized TaC3 structure, with properties calculated at the PBE level.

a b c (Å): 5.4095 5.4095 3.2073
angles (deg): 90.01 90.01 29.23
Positions (direct):
C  0.5000  0.5000  0.5000
C  0.7720  0.7720  0.0000
C  0.2280  0.2280  0.0000
Ta  0.0000  0.0000  0.0000

Values from the calculation:
E above lowest polymorph: 228 meV per atom
Theoretical density: 7.9 g/cm³
Symmetry: Cmmm
Calculated formation energy: 0.816 eV per atom
Calculated total energy: -9.07 eV/atom

=====

No. 2
Below is a geometry-optimized TaC3 structure, with properties calculated at the PBE level.

a b c (Å): 4.0249 4.1124 4.4560
angles (deg): 90.00 90.00 90.00
Positions (direct):
Ta  0.6439  0.0000  0.0000
Ta  0.3561  0.5000  0.5000
C  0.3376  0.5000  0.0000
C  0.6624  0.0000  0.5000
C  0.0314  0.0000  0.6532
C  0.0314  0.0000  0.3468
C  0.9686  0.5000  0.1532
C  0.9686  0.5000  0.8468

Values from the calculation:
E above lowest polymorph: 460 meV per atom
Theoretical density: 9.8 g/cm³
Symmetry: Pmmn
Calculated formation energy: 1.048 eV per atom
Calculated total energy: -8.83 eV/atom
*/

This morning He reminded me about the manna in the wilderness.  The more obvious analogy to us today is that of their need to gather it every morning; so do we, yes.  But remember when He said that he that gathered much didn't have more than enough and he that gathered little had plenty?  It all evened out by His hand of balance.  So I saw that even when I only have time to gather a little (a few minutes?  a verse or two?), He can and will meet my need for spiritual sustenance--and that without guilt.  He knows what my responsibilities are and He is well able to make it be just what I need.

It is for freedom Christ set us free!


A picture of faithfulness

What comes next are data records, not part of the page =
=====
## Nb2Zn2Ni3 (PBE)

Data for a relaxed Nb2Zn2Ni3 crystal.

POSCAR file:
```
Nb2Zn2Ni3
1.0
-2.405 1.403 -2.985
-0.421 -3.841 1.324
-2.948 2.513 6.348
Zn Nb Ni
2 2 3
Cartesian
-2.356 -0.063 -0.923 Zn
-3.418 0.139 5.609 Zn
-1.782 0.821 1.822 Nb
-3.992 -0.746 2.864 Nb
0.000 0.000 0.000 Ni
-2.196 -1.581 1.026 Ni
-3.578 1.656 3.661 Ni
```

## Properties
* symmetry: R-3m, No. 166
* total energy: -40.10 eV/cell
* formation energy: -9.4 meV/atom


i | {
  "formula": "HgMo2P",
  "functional": "PBE",
  "state": "relaxed",
  "lattice": [[3.396, 0.000, 0.000], [0.000, 4.946, 0.000], [0.000, 0.000, 8.023]],
  "species": ["Hg", "Hg", "Mo", "Mo", "Mo", "Mo", "P", "P"],
  "fractional_positions": [[0.000, 0.000, 0.000], [0.500, 0.500, 0.000], [0.000, 0.500, 0.302], [0.000, 0.500, 0.698], [0.500, 0.000, 0.302], [0.500, 0.000, 0.698], [0.000, 0.000, 0.500], [0.500, 0.500, 0.500]],
  "total_magnetization_mub_per_cell": 0.00,
  "dos_ef_per_ev_atom": 0.9057
}

ii | {
  "formula": "HgMo2P",
  "functional": "PBE",
  "state": "relaxed",
  "lattice": [[4.534, 0.000, 0.000], [0.000, 4.534, 0.000], [0.000, 0.000, 3.100]],
  "species": ["Hg", "Mo", "Mo", "P"],
  "fractional_positions": [[0.000, 0.000, 0.000], [0.000, 0.500, 0.500], [0.500, 0.000, 0.500], [0.500, 0.500, 0.000]],
  "total_magnetization_mub_per_cell": 0.00,
  "dos_ef_per_ev_atom": 0.9574
}

iii | {
  "formula": "HgMo2P",
  "functional": "PBE",
  "state": "relaxed",
  "lattice": [[4.648, 0.000, 0.000], [0.000, 2.978, 0.000], [-2.092, 0.000, 4.787]],
  "species": ["Hg", "Mo", "Mo", "P"],
  "fractional_positions": [[0.000, 0.000, 0.000], [0.500, 0.000, 0.500], [0.500, 0.500, 0.000], [0.000, 0.500, 0.500]],
  "total_magnetization_mub_per_cell": 0.00,
  "dos_ef_per_ev_atom": 1.2083
}

i (0.230 eV/atom below the next structure)


An optimized crystal structure of Co2IrRhO6, computed with PBE with a Hubbard U.

Output
* symmetry: R3
* raw total energy: -64.23 eV per cell
* density: 7.923 Mg/m³
* total magnetization: 0.400 μB/atom

Cell lengths 5.197, 5.197, 5.460 Å; angles 61.58, 61.58, 60.00 degrees
Site moments in Bohr magnetons follow the coordinates.
Fractional coordinates of all 10 atoms:
Co  0.522  0.522  0.433  2.57
Co  0.020  0.020  0.939  2.58
Ir  0.320  0.320  0.041  -0.66
Rh  0.819  0.819  0.543  -0.26
O  0.596  0.220  0.257  -0.04
O  0.220  0.926  0.257  -0.05
O  0.926  0.596  0.257  -0.05
O  0.419  0.714  0.763  -0.03
O  0.714  0.105  0.762  -0.03
=====

Last night we attended a 50th anniversary celebration of a dear pastor and his wife.  Family and friends shared some great stories and honored them with thanks for so many years of faithfulness to the Lord and His causes.  Some particular thoughts really spoke to my heart and challenged me afresh in my own walk with the Lord and His call on my life:

- As a couple, they are known for loving people, for taking them just as they are and loving them into the kingdom.  Practical, sacrificial love.

- In tandem with that is their ability to build relationships.  Everyone is important to them, everyone has value and is highly esteemed.

- They are known for nurturing people into their own ministries, pushing them out of the ministry nest and helping them succeed.  They've spoken vision and confidence and the Word into countless peoples' lives, which is truly Jesus' mandate to us to go and "make disciples." 

- They are people of astonishing vision, working in nearly 200 countries to plant churches, travelling several times a year overseas to minister--and they plan on another good twenty years to reach the world for Christ.

- They are some of the most hospitable people I've ever known.  Their home is a place of welcome to young and old alike, Bible studies and meetings, parties and showers--and for fifty years!  In this day of societal disconnect, I find this quality one of the most significant ministries possible.  Homeschooling demands have eroded this priority in my own life, but before the Lord I want to boost it back up where it belongs!

- They had many kids and grandkids there celebrating with them, all of them serving the Lord in some capacity and growing into their own ministries.  What a testimony!  They had an adopted daughter and granddaughter from China, and many in both generations were or are homeschooled.

- I also loved the thoughts they shared about marriage, confessing that though they are complete opposites, they worked from an inviolable commitment to each other before the Lord and obedience to His Word, and have tried to always give each other grace in the difficult moments.

One of the women who spoke of the wife's influence on her own life said, "There aren't too many people in this world whom you could say you wanted to be like.  But I can say of B. - I want to be like her."  I agreed with her, and went home thanking the Lord for people like this couple who go before us and show us how it's done.  May the Lord help me, help us all, to be faithful to His call and commands!